
WaffleZone's picture

Don't do it!

SD24 presented the grand idea to DH that we cosign for a brand new car. I flat out refused. DH took offense to that. I entertained the idea on the condition that SD provided us with various financial documents in an attempt to open DH eyes to the obvious doom he was getting US into. DH and I agreed to a list of documents SD needed to provide before a cosign decision would be made. SD didn't produce any documents and DH cosigned a 7-year loan. I was livid!

Now, 1 year later, SD didn't make her July payment, NSF. DH paid it to keep his credit in good standing. We received a call this week from the doctor's office that performed SD nose surgery. SD hasn't been paying her bill and they are looking for her. SD has been avoiding us for 4 months and I suspect it has something to do with the car. SD and DH are not speaking because of all the plans SD has cancelled with him in the last 4 months. DH wants to go see the car, talk to SD, and take the car tomorrow.

I just want to scream, "I TOLD YOU SO." He acts like I shouldn't be pissed about this. If I voice anything, I'm wrong. If I'm silent about it, I'm wrong. Yet he wants me to go with him because he doesn't trust SD. What!! Why would you commit to such a loan if you don't trust somebody. This just upsets me more!

I don't want to be witness to SD crying and DH giving in. I'm tired of all the stress at home. He's so strong at home with me but wilts when it comes to confronting SD. I've lost my patience with this situation and I'm losing respect for DH.

I don't want any involvement with this mess. Everytime I try to start the disengagement process, I get sucked back in.

Aeron's picture

What difference does he think its going to make to have you there? Do you somehow happen to have Wonder Woman's lasso of truth? Or does your presence make her a better person? I'd tell him that he didn't need me or my input to freaking co-sign, he shouldn't need me for this either.

Dumbass. I wouldn't be saying I told you so. Sorry he's such a moron.

WaffleZone's picture

Believe me, I want to tell him to deal with this himself for the reasons you stated. He doesn't trust her because he doesn't "really" know her and he's afraid she might be as spiteful as his ex. SD "decided" to allow us in her life after her and BM had a falling out about 5 years ago. DH and I have argued so much these past 5 years over him being a pushover and her being irresponsible.

hereiam's picture

He sure trusted her enough to co-sign that loan.

I am a bitch so I would go just to make sure he takes the car back and that he doesn't commit to co-signing a frickin' mortgage application or something.

And I would definitely take that car back.

WaffleZone's picture

I have no doubt there will be boohooing along with a major guilt trip by SD. I am so tempted to just drop him off and leave! He better do something because I'm sick of hearing him bitch about it.

WaffleZone's picture

This night just keeps getting better. DH is taking his anger for SD out on me. He just can't figure out why I seem unhappy and now all of a sudden our relationship is "dull" and "we don't do anything fun." He picks tonight to discuss all the dreams he has been talking about for years. That's right, it's just talk. I'm so sick of "talking" about doing things. I'm a doer and he's a talker. He talks about installing a hot tub, painting the inside of the house, installing wood flooring, etc. He doesn't understand the financial impact this may cause. How the heck can we afford to do these things if we are taking over a car loan for the next six years? He's all over the place tonight! Acting like money isn't a big deal. He seems to be trying to minimize the real issue. Of course, we can't discuss that because he's being a total a$$ right now.

WaffleZone's picture

I agree, it would be a good lesson but his credit affects both of us financially. Our insurance rates will increase, among other things, if his credit tanks.

DH read all the problems consigning could cause because I made sure he knew what he was getting himself into. There's no excuse for him to act like he doesn't know.

He has this need to make SD happy. I can understand it to a point. Their relationship is fresh. He's trying to make up for lost time, Disney dad complex.

It's time to wake the hell up! Five years is enough time to see that somebody isn't being honest or responsible.

Aeron's picture

I get that he doesn't trust her for whatever reason. I just don't get why having you there makes it any better for him. It's not like you trust her. It's not like he took your advise before when you told him it was a stupid thing to do to cosign. Just don't get how you being there impacts the him not trusting her bit.... I think it's total utter BS and would tell him so.

Youdon't trust her? Good me either. We're on the same page, why do I need to be there? She's going to be spiteful? What does that mean? She's going to accuse him of assault and he needs a witness? She's going to say mean things and hurt his delicate fee fees?

Tell him to suck it up and deal with the mess He made. Asshole.

WaffleZone's picture

I don't trust her one bit!

There are 3 reasons I can see: 1) He wants moral support. 2) He wants a witness if things go south. 3) He needs a ride there so he can drive this car back home and not leave our vehicle there.

None of which I'm happy about.

peacemaker's picture

My dh did the same thing to me when we first got married...a year later I ended up with a stupid car that I did not want...then we finally sold it..but it was the beginning of the decision to make sure we were, from that point on, in total agreement when it came to financial decisions regarding the kids (we have 7 altogether and 3 are my step made such a huge difference in our relationship for the better because they could no longer guilt him onto giving them things or money because he had to honor our agreement and make sure we agreed on it together since they were also my finances that were being effected by these decisions...needless to say...the overspending stopped and they didn't like our policy...but that really at this point is irrelevant.

They liked it much better when they could manipulate him by themselves...the skid who let the car go back has never gotten another loan for anything because it is also our policy that once you default on money owed...the favors stop and do not happen again.

WaffleZone's picture

I have the same policy with people in my life. Unfortunately, DH does not. SD still owes us money from a minor in possession charge. The DMV wouldn't renew her drivers license until that warrant was cleared. She came running to DH stating it was her rent money. She knows just what to say to play DH heart strings!

This car is titled in both their names. I can see SD refusing to sign the title when DH tries to refinance. I don't want a car we will never be able to sell because we don't have a clear title. Did your skid sign your title?

I don't even like this car and we need 4 wheel drive where we live. It's just going to be a bad memory to stare at!

Orange County Ca's picture

Offer to drive and when he gets out of the car drive off. One way or another that car will have to come back to your place. Of course if SD drops him off then you know she's talked him into making the car payments.

A new car, how stupid.

Treat him as a room mate when it comes to money. Insist on a separate pool of money for household expenses and you both contribute half. Pay the mortgage/rent, utilities etc. out of that fund and keep the rest of your money separate. Every month he'll be reminded of his inability to handle family finances.

sandye21's picture

I agree. DH made the decision to cosign the loan all by himself, without consulting you. He should be the one to pay off the loan all by himself without any finds from you. If the situation was turned around, and you had cosigned a loan for someone else without his knowledge, what would his reaction be if you had to pay for it? Would he silently nod his head and give you the money?

Oldmom's picture

Simple solution... Go back to the car dealer with the VIN number and ask for a new key to be made for you (might cost a little bit). The just go pick up the car without having to see her at all. Then promptly sell the car. Call her after the deal is done

WaffleZone's picture

We have a key. This is the only smart thing DH insisted on. She has to sign the title so we can sell it...not so simple.

WaffleZone's picture

If she won't sign the title then we are stuck with this car forever.

There should be a legal way to transfer a vehicle title in these instances. It's maddening!

joan mary's picture

Just because the title has both names on it does NOT mean that you need both signatures to sell it. Check with the dealer where the car was purchased. In Wisconsin, and several other states, the title can be set up with the need of both signatures to sell or just one. Most dealers default to just one because when the car is traded in it can be a hassel to get both signatures.

Make the phone call asap to find out.

WaffleZone's picture

I know! Seven years is insane! Her insurance is $150/mth. Yikes!

DH felt bad for her when she couldn't get insurance in her price range. The deal almost fell through.

You're correct, he fought so hard to be a part of her life when she was growing up. He's afraid she won't want to be in his life anymore. He sees, for the most part, how SD plays him but it's like he has blinders on.

I've often told him that he would never accept me lying to him but SD lies to him all the time and he's cozy with it.

He IS a dumbass!

thinkthrice's picture

Well the bright side is that SD is avoiding you--now that SHE owes YOU something. . .

But seriously, co-signing? UGH, just UGH!!! Hope I NEVER have to deal with that issue. My grown kids have always been responsible and never asked me for money or to co-sign.

WaffleZone's picture

Here's what happened. We showed up at 9:10 am and DH sent her a text to come out to the car because we need to talk. No response. He called her and left a message to come out to the car. No response. Her roommate came out to leave for the day and he said she was there. We waited and he called her again and left a message. No response. Finally, after an hour and a half of waiting, he sent another text. He then removed most of her possessions and drove the vehicle home.

Before he drove off I asked him to take pictures of the car. The "little ding" she told him about turned out to be a good-size dent in the front bumper. It will need replaced. The passenger mirror has not been replaced that was broken about 6 months ago. Other various scratches and dings. There's a car part in the trunk that we're not sure where it goes...underneath?? Cigarette holes in the seats. Black ink all over the passenger seat. It's just filthy. The car is over on its free maintenance by 1500 miles. I guess the huge red light that says maintenance required wasn't obvious enough.

Here the article breaks off for crystal structures:
/*
No. 1
DFT (GGA-PBE) results for an optimized crystal structure of La4ThTl5.

Values from the calculation:
Energy of formation from the pure elements: -0.360 eV/atom
E: -0.3128 Ry per atom
Symmetry: No. 123

a = 3.635 Å, b = 3.635 Å, c = 23.155 Å
α = 90.00°, β = 90.00°, γ = 90.00°
Atoms (fractional coordinates):
La: 0.000 0.000 0.101
La: 0.000 0.000 0.302
La: 0.000 0.000 0.698
La: 0.000 0.000 0.899
Th: 0.000 0.000 0.500
Tl: 0.500 0.500 0.000
Tl: 0.500 0.500 0.201
Tl: 0.500 0.500 0.402
Tl: 0.500 0.500 0.598
Tl: 0.500 0.500 0.799



No. 2
DFT (GGA-PBE) results for an optimized crystal structure of NaSr3Pt.

Values from the calculation:
Polymorph energy (0 for the lowest one): 25.2 kJ/mol of atoms
Energy of formation from the pure elements: -0.176 eV/atom
E: -0.1953 Ry per atom
Symmetry: No. 194

a = 5.173 Å, b = 5.173 Å, c = 20.406 Å
α = 90.00°, β = 90.00°, γ = 120.00°
Atoms (fractional coordinates):
Na: 0.000 0.000 0.000
Na: 0.000 0.000 0.500
Sr: 0.000 0.000 0.250
Sr: 0.000 0.000 0.750
Sr: 0.333 0.667 0.107
Sr: 0.333 0.667 0.393
Sr: 0.667 0.333 0.607
Sr: 0.667 0.333 0.893
Pt: 0.333 0.667 0.250
Pt: 0.667 0.333 0.750



No. 3
DFT (GGA-PBE) results for an optimized crystal structure of ZrRhW4.

Values from the calculation:
Energy of formation from the pure elements: 0.204 eV/atom
E: -0.8145 Ry per atom
Symmetry: No. 216

a = 5.312 Å, b = 5.312 Å, c = 5.312 Å
α = 60.00°, β = 60.00°, γ = 60.00°
Atoms (fractional coordinates):
Zr: 0.000 0.000 0.000
Rh: 0.250 0.250 0.250
W: 0.121 0.626 0.626
W: 0.626 0.121 0.626
W: 0.626 0.626 0.121
W: 0.626 0.626 0.626



No. 4
DFT (GGA-PBE) results for an optimized crystal structure of Pm2Ga6Au3.

Values from the calculation:
Energy of formation from the pure elements: -0.551 eV/atom
E: -0.2910 Ry per atom
Symmetry: No. 189

a = 7.915 Å, b = 7.915 Å, c = 4.208 Å
α = 90.00°, β = 90.00°, γ = 120.00°
Atoms (fractional coordinates):
Pm: 0.333 0.667 0.000
Pm: 0.667 0.333 0.000
Ga: 0.000 0.188 0.000
Ga: 0.000 0.693 0.500
Ga: 0.188 0.000 0.000
Ga: 0.307 0.307 0.500
Ga: 0.693 0.000 0.500
Ga: 0.812 0.812 0.000
Au: 0.000 0.371 0.500
Au: 0.371 0.000 0.500
Au: 0.629 0.629 0.500



No. 5
DFT (GGA-PBE) results for an optimized crystal structure of EuYBi2.

Values from the calculation:
Polymorph energy (0 for the lowest one): 13.3 kJ/mol of atoms
Energy of formation from the pure elements: -0.674 eV/atom
E: -0.4998 Ry per atom
Symmetry: No. 225

a = 7.940 Å, b = 7.940 Å, c = 7.940 Å
α = 90.00°, β = 90.00°, γ = 90.00°
Atoms (fractional coordinates):
Eu: 0.000 0.000 0.000
Eu: 0.000 0.500 0.500
Eu: 0.500 0.000 0.500
Eu: 0.500 0.500 0.000
Y: 0.000 0.000 0.500
Y: 0.000 0.500 0.000
Y: 0.500 0.000 0.000
Y: 0.500 0.500 0.500
Bi: 0.250 0.250 0.250
Bi: 0.250 0.250 0.750
Bi: 0.250 0.750 0.250
Bi: 0.250 0.750 0.750
Bi: 0.750 0.250 0.250
Bi: 0.750 0.250 0.750
Bi: 0.750 0.750 0.250
Bi: 0.750 0.750 0.750



No. 6
DFT (GGA-PBE) results for an optimized crystal structure of Pd2SBr2.

Values from the calculation:
ΔE_f (raw): 0.23 eV/f.u.
*/

Her texts:
1) I can't believe you took the car without talking to me first. I made the payment and I can prove it on my statement. I rode my bike to work today and that's why I didn't answer the phone. I'm going to find a different cosigner.

2) I bought a new seat and mirror and I have an appointment Tuesday to have them installed. You can have them if it will help the resell. I can't believe you didn't talk to me first.

3) I can't believe you didn't talk to me. All contact needs to go through email now because I'm changing my phone number.

4) I love you. We need to talk about the car. I'm not being manipulative. I'm not like mom. You act like I'm her. Blah, blah, blah! This has strained our relationship. It's going to take a long time for me to get over this. Don't text me. All communication needs to go through email.

She didn't ride her bike to work! Give me a break. So many lies.

sandye21's picture

Ya, it really makes a lot of sense - if she was gone how would she know you took the car. SD's texts all had something in common: They all contained a statement of betrayal and an accompanied threat. She really did not make any points for herself by not answering DH's calls. What is his plan now? Another poster suggested taking her to small claims court. Considering her actions when DH took the car, she probably won't show up for court either so it appears you be able to take over the car and sell it.

WaffleZone's picture

5) I checked my bank statement and they didn't take the car payment out even though it never dipped lower than $1000.00.

She needs to stop texting DH about her nonsense. She has told him not to text her and he hasn't. He shut his phone off.

Finally, peace & quiet!

WaffleZone's picture

I'm so drained of this situation. He spent 8 hours Sunday drafting an email to SD. She replied with many I love yous and I want to work this out. SD is still holding fast to the notion that we were notified of the missed payment and can't seem to grasp that she needs to check her bank statement or call Toyota to verify the payment was made. The last time she missed a payment it was because she didn't have access to the online account. She wants total access to the online account and I've warned DH about giving her the password.

She is also adamant that she was at work Saturday. She's pissed that DH is calling her a liar. She also hasn't been avoiding us for the last 4 months and that is all DH fault. Not one I'm sorry, yes I screwed the car up, nothing! She avoids responsibility for everything.

I am beyond frustrated at this point. DH is now saying she doesn't totally lie all the time. She tells half truths and there might be a smidgen of something truthful but he sees that as not a total lie.

DH and SD are meeting for supper to talk. He has been wishy washy because of her sweet email and he's been quiet to me, which usually means he knows he's about to upset me. Because SD is so quick and convincing with her lies and DH is not quick enough to figure them out, he will likely melt and give in.

I expect them both to show up here tonight after their supper.

I can't keep doing this!

sandye21's picture

"DH is now saying she doesn't totally lie all the time. She tells half truths and there might be a smidgen of something truthful but he sees that as not a total lie."

What?!!!! This is seriously crazy and is potentially harmful to your future well-being. Tell DH, "No. It's not negotiable." I feel bad for you. But right now you need to do what it takes to financially protect yourself. Good luck. (((HUGS)))

MrsWhoRU's picture

My husband did the same thing to me. He went behind my back to boot. My SS defaulted and never told him about it...there went his credit score. The way I look at is there is no better way for someone to learn than by experience. I will never forget this one and anticipate there will be more to follow through the years. I have no children of my own and have been informed by my DH that that is my problem. I believe that in today's society parents "enable" their children big time! This generation is not raised to be responsible but raised to be taken care of by their parents. Sorry you had to go through this...please know you are not alone.

WaffleZone's picture

He got home last night after 10 PM. I was already a slept. He came snuggling up to me and started telling me how the night went. I asked if SD friend was going to cosign. He said the new cosigner wanted all the damage fixed before consigning for it. SD told DH that all the damage happened in such a short time. He then started listing off the damage one by one and when and how it happened as SD told it to him. When he was finished I told him him one of SD accounts of a scratch/dent wasn't accurate because we both noticed that damage much earlier. He got pissed and started yelling that he can't remember word for word what SD told him and that he would take a recorder with him next time. He's thrown this fit before and said the exact same thing another time I reminded him of the truth. He stormed off and slept in another room. There was silence between us this morning.

I can tell he's going to have all the damaged fixed on the car at OUR expense. He doesn't want SD to file a claim because her insurance rates will go up. Good grief!

Tonight is going to be miserable!

sandye21's picture

So he gets mad at you because you proved that SD lied again? This is between he and SD, not you. Let HIM pay for the damage to be fixed. I'll bet when the money is coming totally out of his pocket he'll have a change of heart and start seeing SD for what she really is. Let him sleep on the couch!

WaffleZone's picture

I told him I no longer wanted to discuss SD, period ~ end of story.

Earlier in the year, after DH paid for SD 10% out of pocket expense for her nose job without discussing it with me first, I agreed to each of us taking 10% of our take-home pay to do with what we wanted. I anticipated that SD would default on their loan and this was my way of saving an argument later. DH didn't plan for the default and July's payment was paid out of our joint account. He can't fix the car this month because he's already spent his "allowance." If SD doesn't make the August car and insurance payments where do you think that money will come from? She doesn't have the car so I doubt she will pay either. The car payment is due on the 10th. We'll see!

The point is, WE are no longer talking about SD or her problems. That means, DH better not even bring up or pay anything out of our joint account for that car. I don't want to hear it!

He mentioned splitting finances when we first discovered the missed car payment. I brought it up again this week and he doesn't want to split them. As it stands right now, he has $1200 worth of receipts he hasn't entered into the checkbook (all legit) but this is how irresponsible he is. He doesn't even look at the bills but gets pissy because he doesn't know what's going on with our finances. I've never hid anything. He just doesn't want to deal with it and that's not my problem. This has been going on for 8 years now.

He may feel backed into a corner financially with regards to the car. I anticipate I'll be separating our finances soon without his "approval."

Next to the piece, the page also holds records of crystals:
~~~
No. 1
Crystalline NaAcTl2Cl6 at its relaxed geometry, computed with PBE.

```
NaAcTl2Cl6
1.0
7.556 0.000 0.000
0.000 7.956 0.000
-7.323 0.000 10.885
Na Ac Tl Cl
2 2 4 12
Cartesian
0.000 0.000 0.000
-3.661 3.978 5.443
0.117 0.000 5.443
3.778 3.978 0.000
-3.789 0.550 8.099
-0.128 3.428 2.657
0.361 4.528 8.228
4.022 7.406 2.786
-2.234 1.563 4.847
-5.895 2.415 10.290
-1.368 5.575 4.768
-5.030 6.359 10.210
0.945 0.317 2.696
-2.716 3.661 8.139
2.949 4.295 2.746
-0.712 7.639 8.189
5.263 1.597 0.675
1.602 2.381 6.117
6.129 5.540 0.595
2.467 6.393 6.038
```

Results
As for the crystal system: monoclinic. The calculation puts the uncorrected formation energy at -1.741 eV/atom.

---

No. 2
Crystalline PmGdScSn at its relaxed geometry, computed with PBE.

```
PmGdScSn
1.0
7.617 0.000 0.000
0.000 7.617 0.000
0.000 0.000 7.617
Pm Gd Sc Sn
4 4 4 4
Cartesian
0.000 0.000 0.000
0.000 3.808 3.808
3.808 0.000 3.808
3.808 3.808 0.000
0.000 0.000 3.808
0.000 3.808 0.000
3.808 0.000 0.000
3.808 3.808 3.808
1.904 1.904 5.713
1.904 5.713 1.904
5.713 1.904 1.904
5.713 5.713 5.713
1.904 1.904 1.904
1.904 5.713 5.713
5.713 1.904 5.713
5.713 5.713 1.904
```

Results
As for the crystal system: cubic. The total energy is -7.566 eV per atom.

---

No. 3
Crystalline Li4YZr2 at its relaxed geometry, computed with PBE.

```
Li4YZr2
1.0
5.063 0.000 0.000
0.000 5.063 0.000
0.000 0.000 15.359
Li Y Zr
8 2 4
Cartesian
0.000 0.000 3.121
0.000 0.000 12.239
0.000 2.531 0.000
0.000 2.531 7.680
2.531 0.000 0.000
2.531 0.000 7.680
2.531 2.531 4.559
2.531 2.531 10.800
0.000 0.000 0.000
2.531 2.531 7.680
0.000 0.000 6.315
0.000 0.000 9.045
2.531 2.531 1.365
2.531 2.531 13.994
```

Results
As for the crystal system: tetragonal. The total energy is -3.601 eV per atom.

---

No. 4
Crystalline Nd4Y10Er at its relaxed geometry, computed with PBE.

```
Nd4Y10Er
1.0
-5.701 5.701 3.958
5.701 -5.701 3.958
5.701 5.701 -3.958
Nd Y Er
4 10 1
Cartesian
2.607 2.607 0.000
3.094 -3.094 3.958
-3.094 3.094 3.958
3.094 3.094 3.958
5.701 3.313 -1.659
5.701 0.000 1.979
3.313 5.701 -1.659
2.388 0.000 2.299
0.000 2.388 2.299
5.701 3.313 1.659
3.313 5.701 1.659
2.388 0.000 5.617
0.000 5.701 1.979
0.000 2.388 5.617
0.000 0.000 0.000
```

Results
As for the crystal system: tetragonal. The total energy is -5.616 eV per atom.
~~~

Thank you all for letting me get this nonsense out!

sandye21's picture

Glad to hear you are going split the finances. This is how DH and I have dealt with it and it works so much better. We each have our own accounts, then contribute the same amount into a joint account which is only for house expenses. When SD was in college DH was giving her hundreds of dollars a month. This lasted for years after she graduated, even though she was making more than he was. But at least it was coming out of his pocket instead of our joint account. The problem is he failed to pad his own nest egg so now in his retirement years he is so financially limited that a few months ago, after his car was totaled, he had a hard time finding an inexpensive, reliable used car.

I apologize for bringing up my story but you can see what the long term consequences are to your DH constantly playing ATM for SD. If there is any way to convince him that the best thing he can do for SD, and the future financial well being of your marriage is help SD to be self-sufficient.